
How to Construct an Ullagami Model


If you’ve already had some experience with kirigami and origamic architecture, then the basic instructions I typically supply to people who want to try my designs read as follows:

1. Print the template onto regular paper. 2. Tape or very lightly glue-stick one edge of the template to the card. 3. Through the paper into the card, score all the fold lines with an embossing point. 4. Cut all the cut lines with a scalpel or xacto. 5. Inspect the back to make sure it all looks right. 6. Remove the template from the card. 7. Using your fingers, reinforce all the scored creases in their proper directions. 8. Gently massage the piece into its final form. The whole thing folds flat when it’s finished. Good luck!

That’s really all there is to it. Sounds simple, right? And if you’re comfortable with that, you need read no further. However, having watched many people learn to cut my designs, with all different levels of experience and skill, I have seen many of the mistakes, pitfalls and missed intuitions that can naturally occur. One way to counter that is with a youtube video...

...but if you still want the most detailed, most complete description of (what I consider to be) the best methods and practices for constructing these designs, then please, dear reader, read on.


For teaching and diagrammatic purposes, We will use the “5x5 building blocks” model. You can download the template here. It’s simple enough to learn on, while just complex enough to reveal the techniques required by some of the more advanced designs. Once you get the hang of it, the basic method for all the pieces I design, regardless of difficulty level, is fundamentally the same.

Also it’s worth noting that the instructions that follow are not set in stone. Everyone has their own intuitions and preferences; here we’ll merely discuss certain tried-and-true methods that always work reliably.

Step 1: Preparation

Before you do anything else, make sure you have everything you need. These constructions require a little bit of focus and concentration, and having all your tools and materials assembled from the start is a good idea. Put a fresh blade in your scalpel. Wipe down your cutting mat. In fact (and here’s a really good trick), close your eyes and lightly feel the entire surface of your cutting mat with your fingertips. This is more important than it sounds: when tips break off of scalpel blades, they often lie in ambush, embedded in the surface of the mat, waiting for another scalpel blade to come along and break too. Feeling the mat with eyes closed helps you find any of these little land mines before they can get in the way of your construction.


With all the materiel ready to go, the next step is to photocopy or print the template onto a sheet of normal white copy paper the same size as the card you want to use for your model. My books are coil-bound for easy copying, and many of my models completely scalable, either vertically, horizontally, or entirely. The templates are in color, but photocopying is fine: they work equally well in black and white.

Then attach the template to the card, using whatever adhesive you prefer. A glue stick is the quickest, easiest method. It’s surprising how little glue you need: just the barest edge, a millimeter or two at most, across the top of the card will hold the template in place quite nicely. Some glue sticks even come in colors which dry clear, so you can see exactly how much you apply. You want to use enough glue to ensure that the template doesn’t slip, but minimal enough to allow the two sheets to easily separate later on. A single glue stick can last more than a year, even if you do this a lot.

Quick tip: never use your cutting mat as a gluing surface. A piece of scrap paper (or your most recently cut template) will protect your cutting mat from getting sticky.

Once the template is attached to the card, place it on your mat, and you’re ready to start.

Step 2: Scoring.

== Data records, as found in the file ==
........
A relaxed structure of BeB3Sb, computed with GGA-PBEsol.

Results
Formation energy without anion corrections in eV per atom: 1.572
Space group: Pm-3m (221)

a = 3.8583 Å, b = 3.8583 Å, c = 3.8583 Å
α = 90.00°, β = 90.00°, γ = 90.00°
Sites, in units of the cell vectors:
B 0.0000 0.5000 0.0000
B 0.5000 0.0000 0.0000
Be 0.0000 0.0000 0.0000
Sb 0.5000 0.5000 0.5000
B 0.0000 0.0000 0.5000

A relaxed structure of ScBeB3, computed with GGA-PBEsol.

Results
Formation energy from the elements in kJ/mol of formula units: 336
Space group: Pm-3m (221)

a = 3.6339 Å, b = 3.6339 Å, c = 3.6339 Å
α = 90.00°, β = 90.00°, γ = 90.00°
Sites, in units of the cell vectors:
Sc 0.5000 0.5000 0.5000
Be 0.0000 0.0000 0.0000
B 0.0000 0.5000 0.0000
B 0.0000 0.0000 0.5000
B 0.5000 0.0000 0.0000

A relaxed structure of Sc2BeB, computed with GGA-PBEsol.

Results
Formation energy from the elements in kJ/mol of formula units: 221
Space group: R-3m (166)

a = 3.0967 Å, b = 3.0967 Å, c = 8.7326 Å
α = 79.79°, β = 79.79°, γ = 60.00°
Sites, in units of the cell vectors:
Sc 0.8927 0.8927 0.3219
Sc 0.1073 0.1073 0.6781
Be 0.0000 0.0000 0.0000
B 0.5000 0.5000 0.5000

A relaxed structure of ScBeB2, computed with GGA-PBEsol.

Results
Formation energy from the elements in kJ/mol of formula units: -68
Space group: I4_1/amd (141)

a = 3.6233 Å, b = 3.6233 Å, c = 6.8466 Å
α = 105.34°, β = 105.34°, γ = 90.00°
Sites, in units of the cell vectors:
Sc 0.0000 0.0000 0.0000
Sc 0.2500 0.7500 0.5000
Be 0.5000 0.5000 0.0000
B 0.6250 0.8750 0.2500
B 0.6250 0.3750 0.7500
B 0.6250 0.3750 0.2500
Be 0.7500 0.2500 0.5000
B 0.1250 0.3750 0.7500

A relaxed structure of BeBSe2, computed with GGA-PBEsol.

Results
Formation energy without anion corrections in eV per atom: 1.032
Space group: Fm-3m (225)
Energy above the most stable polymorph in this dataset in meV/atom: 949

a = 4.2835 Å, b = 4.2835 Å, c = 4.2835 Å
α = 60.00°, β = 60.00°, γ = 60.00°
Sites, in units of the cell vectors:
B 0.5000 0.5000 0.5000
Se 0.2500 0.2500 0.2500
Se 0.7500 0.7500 0.7500
Be 0.0000 0.0000 0.0000

A relaxed structure of BeB2Se, computed with GGA-PBEsol.

Results
Formation energy without anion corrections in eV per atom: 0.809
Space group: I-42d (122)

a = 4.7692 Å, b = 5.4559 Å, c = 4.7692 Å
α = 64.08°, β = 90.00°, γ = 115.92°
Sites, in units of the cell vectors:
Se 0.7500 0.5000 0.7500
Be 0.2500 0.5000 0.2500
B 0.8750 0.2500 0.6098
Se 0.0000 0.0000 0.0000
Be 0.5000 0.0000 0.5000
B 0.3750 0.2500 0.1402
B 0.1402 0.7500 0.8750
B 0.6098 0.7500 0.3750

A relaxed structure of BeBSe2, computed with GGA-PBEsol.

Results
Formation energy without anion corrections in eV per atom: 0.083
Space group: I-42d (122)
Energy above the most stable polymorph in this dataset in meV/atom: 0

a = 4.9754 Å, b = 4.9754 Å, c = 6.1277 Å
α = 113.95°, β = 113.95°, γ = 90.00°
Sites, in units of the cell vectors:
Se 0.1250 0.1095 0.7500
Se 0.8905 0.3750 0.2500
Se 0.3595 0.8750 0.2500
Se 0.6250 0.6405 0.7500
Be 0.5000 0.5000 0.0000
B 0.2500 0.7500 0.5000
........
== End of the data records ==

It’s worth mentioning at the start that the term “score” can actually have two meanings in this context. Scoring can mean “cutting lightly through the topmost layer of the paper’s surface” (some people even use the back of a scalpel blade, rather than an embossing pont, for this purpose); or it can alternatively mean “compressing the paper in a sharp line without breaking the surface of the paper at all.” This book uses the term in that second sense: it’s better to compress the paper than to lightly cut it, so it doesn’t split along the folds. And now we return to or originally scheduled program: